Next, echo only the lines below with the word "Alexandria" in them.
____________
Computed XRD peak list
Compound: Li2Ga12Pd
Radiation: CuKα
Structure: a crystal structure in Alexandria, relaxed with GGA-PBE
Lines closer than 0.1° are merged.

Structure:
```
Li2Ga12Pd
1.0
5.8459 0.0000 0.0000
0.0000 5.8459 0.0000
0.0000 0.0000 16.6890
Li Ga Pd
4 24 2
Direct
0.2500 0.7500 0.2317
0.2500 0.7500 0.7683
0.7500 0.2500 0.2317
0.7500 0.2500 0.7683
0.9999 0.0001 0.4059
0.0001 0.9999 0.5941
0.0001 0.5001 0.4059
0.9999 0.4999 0.5941
0.0670 0.5671 0.0692
0.0670 0.9330 0.9308
0.2500 0.2500 0.1598
0.2500 0.2500 0.3062
0.2500 0.2500 0.6938
0.2500 0.2500 0.8402
0.4330 0.5671 0.9308
0.4330 0.9330 0.0692
0.4999 0.9999 0.4059
0.5001 0.0001 0.5941
0.5001 0.4999 0.4059
0.4999 0.5001 0.5941
0.5671 0.0670 0.9308
0.5671 0.4330 0.0692
0.7500 0.7500 0.1598
0.7500 0.7500 0.3062
0.7500 0.7500 0.6938
0.7500 0.7500 0.8402
0.9330 0.0670 0.0692
0.9330 0.4330 0.9308
0.2500 0.7500 0.5000
0.7500 0.2500 0.5000
```

Peak list (8 most intense, 5 to 70 degrees two-theta, in order of rising 2θ)
2θ 10.6, I 76; 2θ 24.0, I 88; 2θ 32.5, I 43; 2θ 34.7, I 26; 2θ 37.6, I 24; 2θ 41.0, I 33; 2θ 43.8, I 91; 2θ 45.0, I 100



Computed XRD peak list
Compound: KAlAg2
Radiation: CuKα
Structure: a crystal structure in Alexandria, relaxed with GGA-PBE
Lines closer than 0.1° are merged.

Structure:
```
KAlAg2
1.0
4.1512 -2.2691 0.0000
4.1512 2.2691 0.0000
-2.0568 0.0000 6.2317
K Al Ag
1 1 2
Direct
0.0000 0.0000 0.0000
0.7890 0.7890 0.4538
0.1501 0.1501 0.5384
0.4553 0.4553 0.4497
```

Peak list (8 most intense, 5 to 70 degrees two-theta, in order of rising 2θ)
2θ 14.2, I 100; 2θ 22.6, I 26; 2θ 28.7, I 57; 2θ 38.3, I 35; 2θ 39.6, I 29; 2θ 42.4, I 31; 2θ 46.1, I 19; 2θ 50.9, I 18



Computed XRD peak list
Compound: Sr3Tl2O6
Radiation: CuKα
Structure: a crystal structure in Alexandria, relaxed with GGA-PBE
Lines closer than 0.1° are merged.

Structure:
```
Sr3Tl2O6
1.0
12.0199 0.0000 0.0000
0.0000 17.2172 0.0000
0.0000 0.0000 3.5285
Sr Tl O
12 8 24
Direct
0.0955 0.1463 0.0000
0.1331 0.5413 0.0000
0.1757 0.7746 0.0000
0.3243 0.2746 0.0000
0.3669 0.0413 0.0000
0.4045 0.6463 0.0000
0.5955 0.3537 0.0000
0.6331 0.9587 0.0000
0.6757 0.7254 0.0000
0.8243 0.2254 0.0000
0.8669 0.4587 0.0000
0.9045 0.8537 0.0000
0.0904 0.3528 0.5000
0.1323 0.9578 0.5000
0.3677 0.4578 0.5000
0.4096 0.8528 0.5000
0.5904 0.1472 0.5000
0.6323 0.5422 0.5000
0.8677 0.0422 0.5000
0.9096 0.6472 0.5000
0.0000 0.0000 0.0000
0.0000 0.5000 0.5000
0.0278 0.6700 0.0000
0.0621 0.8463 0.5000
0.1852 0.2388 0.5000
0.2129 0.0660 0.5000
0.2126 0.4038 0.0000
0.2871 0.5660 0.5000
0.2874 0.9038 0.0000
0.3148 0.7388 0.5000
0.4379 0.3463 0.5000
0.4722 0.1700 0.0000
0.5000 0.0000 0.5000
0.5000 0.5000 0.0000
0.5278 0.8300 0.0000
0.5621 0.6537 0.5000
0.6852 0.2612 0.5000
0.7126 0.0962 0.0000
0.7129 0.4340 0.5000
0.7874 0.5962 0.0000
0.7871 0.9340 0.5000
0.8148 0.7612 0.5000
0.9379 0.1537 0.5000
0.9722 0.3300 0.0000
```

Peak list (8 most intense, 5 to 70 degrees two-theta, in order of rising 2θ)
2θ 12.6, I 37; 2θ 28.3, I 34; 2θ 29.8, I 44; 2θ 29.9, I 100; 2θ 30.7, I 66; 2θ 35.5, I 69; 2θ 50.2, I 39; 2θ 61.0, I 45



Computed XRD peak list
Compound: H6PdRh2
Radiation: CuKα
Structure: a crystal structure in Alexandria, relaxed with GGA-PBE
Lines closer than 0.1° are merged.

Structure:
```
H6PdRh2
1.0
-1.5399 1.5399 7.2126
1.5399 -1.5399 7.2126
1.5399 1.5399 -7.2126
H Pd Rh
6 1 2
Direct
0.2161 0.2161 0.5929
0.2500 0.7500 0.5000
0.3768 0.7839 0.0000
0.6232 0.6232 0.4071
0.7500 0.2500 0.5000
0.7839 0.3768 0.0000
0.0000 0.0000 0.0000
0.3242 0.3242 0.0000
0.6758 0.6758 0.0000
```

Peak list (8 most intense, 5 to 70 degrees two-theta, in order of rising 2θ)
2θ 24.7, I 1; 2θ 34.6, I 100; 2θ 37.4, I 18; 2θ 41.5, I 30; 2θ 53.5, I 2; 2θ 57.1, I 22; 2θ 60.1, I 10; 2θ 65.7, I 13



Copy entry 4 word for word.
Computed XRD peak list
____________
Structure: a crystal structure in Alexandria, relaxed with GGA-PBE
Structure: a crystal structure in Alexandria, relaxed with GGA-PBE
Structure: a crystal structure in Alexandria, relaxed with GGA-PBE
Structure: a crystal structure in Alexandria, relaxed with GGA-PBE